It remains to repeat the calculation results further down without altering anything.

(1)
A plane-wave DFT calculation with PBE-GGA was carried out for Na2SnH6O6 after structural relaxation.

For the MP2020-corrected energy, the calculation gives -5.311 eV per atom.

Structure (CIF):
```
data_Na2SnH6O6
_chemical_formula_sum 'Na2 Sn1 H6 O6'
_space_group_name_H-M_alt 'P 1'
_space_group_IT_number 1
_space_group_name_Hall 'P 1'
_cell_length_a 5.935
_cell_length_b 5.935
_cell_length_c 5.935
_cell_angle_alpha 67.84
_cell_angle_beta 67.84
_cell_angle_gamma 67.84
loop_
_atom_site_label
_atom_site_fract_x
_atom_site_fract_y
_atom_site_fract_z
_atom_site_occupancy
Na1 0.617 0.617 0.617 1
Na2 0.383 0.383 0.383 1
Sn1 0.000 0.000 0.000 1
H1 0.089 0.835 0.453 1
H2 0.453 0.089 0.835 1
H3 0.835 0.453 0.089 1
H4 0.911 0.165 0.547 1
H5 0.547 0.911 0.165 1
H6 0.165 0.547 0.911 1
O1 0.292 0.175 0.794 1
O2 0.794 0.292 0.175 1
O3 0.175 0.794 0.292 1
O4 0.708 0.825 0.206 1
O5 0.206 0.708 0.825 1
O6 0.825 0.206 0.708 1
```

(2)
A plane-wave DFT calculation with PBE-GGA was carried out for Na5La2Mg2P3S3O24 after structural relaxation.

For the MP2020-corrected energy, the calculation gives -6.954 eV per atom.

Structure (CIF):
```
data_Na5La2Mg2P3S3O24
_chemical_formula_sum 'Na15 La6 Mg6 P9 S9 O72'
_space_group_name_H-M_alt 'P 1'
_space_group_IT_number 1
_space_group_name_Hall 'P 1'
_cell_length_a 9.401
_cell_length_b 9.302
_cell_length_c 23.484
_cell_angle_alpha 89.68
_cell_angle_beta 90.51
_cell_angle_gamma 120.00
loop_
_atom_site_label
_atom_site_fract_x
_atom_site_fract_y
_atom_site_fract_z
_atom_site_occupancy
Na1 0.636 0.019 0.253 1
Na2 0.000 0.633 0.241 1
Na3 0.626 0.626 0.742 1
Na4 0.993 0.347 0.744 1
Na5 0.301 0.350 0.586 1
Na6 0.668 0.967 0.577 1
Na7 0.297 0.954 0.080 1
Na8 0.691 0.027 0.910 1
Na9 0.961 0.283 0.413 1
Na10 0.974 0.965 0.490 1
Na11 0.010 0.982 0.990 1
Na12 0.624 0.302 0.823 1
Na13 0.634 0.311 0.325 1
Na14 0.309 0.632 0.157 1
Na15 0.326 0.667 0.657 1
La1 0.001 0.998 0.652 1
La2 0.004 0.009 0.150 1
La3 0.676 0.352 0.984 1
La4 0.672 0.340 0.484 1
La5 0.340 0.672 0.319 1
La6 0.333 0.676 0.818 1
Mg1 0.009 0.009 0.345 1
Mg2 0.035 0.017 0.849 1
Mg3 0.664 0.329 0.682 1
Mg4 0.673 0.339 0.183 1
Mg5 0.303 0.660 0.016 1
Mg6 0.342 0.672 0.515 1
P1 0.307 0.015 0.250 1
P2 0.982 0.298 0.254 1
P3 0.312 0.300 0.749 1
P4 0.709 0.015 0.753 1
P5 0.979 0.349 0.585 1
P6 0.648 0.629 0.587 1
P7 0.982 0.632 0.089 1
P8 0.322 0.966 0.922 1
P9 0.651 0.965 0.419 1
S1 0.711 0.696 0.252 1
S2 0.980 0.686 0.753 1
S3 0.377 0.029 0.585 1
S4 0.648 0.023 0.084 1
S5 0.379 0.350 0.085 1
S6 0.642 0.688 0.917 1
S7 0.038 0.352 0.917 1
S8 0.314 0.353 0.420 1
S9 0.045 0.682 0.417 1
O1 0.206 0.023 0.300 1
O2 0.818 0.786 0.301 1
O3 0.968 0.194 0.308 1
O4 0.213 0.186 0.798 1
O5 0.976 0.783 0.802 1
O6 0.819 0.030 0.805 1
O7 0.784 0.988 0.698 1
O8 0.220 0.235 0.691 1
O9 0.009 0.779 0.699 1
O10 0.780 0.794 0.199 1
O11 0.001 0.214 0.201 1
O12 0.210 0.982 0.193 1
O13 0.887 0.357 0.638 1
O14 0.483 0.118 0.635 1
O15 0.636 0.527 0.641 1
O16 0.892 0.537 0.143 1
O17 0.637 0.117 0.134 1
O18 0.480 0.362 0.135 1
O19 0.451 0.324 0.033 1
O20 0.880 0.547 0.035 1
O21 0.668 0.119 0.031 1
O22 0.446 0.126 0.533 1
O23 0.664 0.543 0.534 1
O24 0.873 0.318 0.531 1
O25 0.541 0.692 0.964 1
O26 0.142 0.451 0.965 1
O27 0.306 0.861 0.976 1
O28 0.553 0.863 0.471 1
O29 0.304 0.444 0.471 1
O30 0.150 0.691 0.466 1
O31 0.111 0.659 0.363 1
O32 0.557 0.890 0.362 1
O33 0.334 0.451 0.368 1
O34 0.102 0.440 0.862 1
O35 0.352 0.884 0.870 1
O36 0.555 0.667 0.861 1
O37 0.028 0.832 0.414 1
O38 0.824 0.982 0.416 1
O39 0.157 0.192 0.416 1
O40 0.023 0.186 0.916 1
O41 0.169 0.983 0.914 1
O42 0.802 0.846 0.916 1
O43 0.001 0.192 0.587 1
O44 0.210 0.006 0.590 1
O45 0.797 0.810 0.587 1
O46 0.012 0.814 0.087 1
O47 0.790 0.997 0.088 1
O48 0.212 0.198 0.088 1
O49 0.700 0.177 0.746 1
O50 0.488 0.326 0.746 1
O51 0.822 0.526 0.749 1
O52 0.701 0.531 0.247 1
O53 0.820 0.307 0.248 1
O54 0.483 0.168 0.246 1
O55 0.671 0.545 0.920 1
O56 0.866 0.324 0.921 1
O57 0.485 0.138 0.924 1
O58 0.678 0.147 0.420 1

(1)
A plane-wave DFT calculation with PBE-GGA was carried out for Na2SnH6O6 after structural relaxation.

For the MP2020-corrected energy, the calculation gives -5.311 eV per atom.

Structure (CIF):
```
data_Na2SnH6O6
_chemical_formula_sum 'Na2 Sn1 H6 O6'
_space_group_name_H-M_alt 'P 1'
_space_group_IT_number 1
_space_group_name_Hall 'P 1'
_cell_length_a 5.935
_cell_length_b 5.935
_cell_length_c 5.935
_cell_angle_alpha 67.84
_cell_angle_beta 67.84
_cell_angle_gamma 67.84
loop_
_atom_site_label
_atom_site_fract_x
_atom_site_fract_y
_atom_site_fract_z
_atom_site_occupancy
Na1 0.617 0.617 0.617 1
Na2 0.383 0.383 0.383 1
Sn1 0.000 0.000 0.000 1
H1 0.089 0.835 0.453 1
H2 0.453 0.089 0.835 1
H3 0.835 0.453 0.089 1
H4 0.911 0.165 0.547 1
H5 0.547 0.911 0.165 1
H6 0.165 0.547 0.911 1
O1 0.292 0.175 0.794 1
O2 0.794 0.292 0.175 1
O3 0.175 0.794 0.292 1
O4 0.708 0.825 0.206 1
O5 0.206 0.708 0.825 1
O6 0.825 0.206 0.708 1
```

(2)
A plane-wave DFT calculation with PBE-GGA was carried out for Na5La2Mg2P3S3O24 after structural relaxation.

For the MP2020-corrected energy, the calculation gives -6.954 eV per atom.

Structure (CIF):
```
data_Na5La2Mg2P3S3O24
_chemical_formula_sum 'Na15 La6 Mg6 P9 S9 O72'
_space_group_name_H-M_alt 'P 1'
_space_group_IT_number 1
_space_group_name_Hall 'P 1'
_cell_length_a 9.401
_cell_length_b 9.302
_cell_length_c 23.484
_cell_angle_alpha 89.68
_cell_angle_beta 90.51
_cell_angle_gamma 120.00
loop_
_atom_site_label
_atom_site_fract_x
_atom_site_fract_y
_atom_site_fract_z
_atom_site_occupancy
Na1 0.636 0.019 0.253 1
Na2 0.000 0.633 0.241 1
Na3 0.626 0.626 0.742 1
Na4 0.993 0.347 0.744 1
Na5 0.301 0.350 0.586 1
Na6 0.668 0.967 0.577 1
Na7 0.297 0.954 0.080 1
Na8 0.691 0.027 0.910 1
Na9 0.961 0.283 0.413 1
Na10 0.974 0.965 0.490 1
Na11 0.010 0.982 0.990 1
Na12 0.624 0.302 0.823 1
Na13 0.634 0.311 0.325 1
Na14 0.309 0.632 0.157 1
Na15 0.326 0.667 0.657 1
La1 0.001 0.998 0.652 1
La2 0.004 0.009 0.150 1
La3 0.676 0.352 0.984 1
La4 0.672 0.340 0.484 1
La5 0.340 0.672 0.319 1
La6 0.333 0.676 0.818 1
Mg1 0.009 0.009 0.345 1
Mg2 0.035 0.017 0.849 1
Mg3 0.664 0.329 0.682 1
Mg4 0.673 0.339 0.183 1
Mg5 0.303 0.660 0.016 1
Mg6 0.342 0.672 0.515 1
P1 0.307 0.015 0.250 1
P2 0.982 0.298 0.254 1
P3 0.312 0.300 0.749 1
P4 0.709 0.015 0.753 1
P5 0.979 0.349 0.585 1
P6 0.648 0.629 0.587 1
P7 0.982 0.632 0.089 1
P8 0.322 0.966 0.922 1
P9 0.651 0.965 0.419 1
S1 0.711 0.696 0.252 1
S2 0.980 0.686 0.753 1
S3 0.377 0.029 0.585 1
S4 0.648 0.023 0.084 1
S5 0.379 0.350 0.085 1
S6 0.642 0.688 0.917 1
S7 0.038 0.352 0.917 1
S8 0.314 0.353 0.420 1
S9 0.045 0.682 0.417 1
O1 0.206 0.023 0.300 1
O2 0.818 0.786 0.301 1
O3 0.968 0.194 0.308 1
O4 0.213 0.186 0.798 1
O5 0.976 0.783 0.802 1
O6 0.819 0.030 0.805 1
O7 0.784 0.988 0.698 1
O8 0.220 0.235 0.691 1
O9 0.009 0.779 0.699 1
O10 0.780 0.794 0.199 1
O11 0.001 0.214 0.201 1
O12 0.210 0.982 0.193 1
O13 0.887 0.357 0.638 1
O14 0.483 0.118 0.635 1
O15 0.636 0.527 0.641 1
O16 0.892 0.537 0.143 1
O17 0.637 0.117 0.134 1
O18 0.480 0.362 0.135 1
O19 0.451 0.324 0.033 1
O20 0.880 0.547 0.035 1
O21 0.668 0.119 0.031 1
O22 0.446 0.126 0.533 1
O23 0.664 0.543 0.534 1
O24 0.873 0.318 0.531 1
O25 0.541 0.692 0.964 1
O26 0.142 0.451 0.965 1
O27 0.306 0.861 0.976 1
O28 0.553 0.863 0.471 1
O29 0.304 0.444 0.471 1
O30 0.150 0.691 0.466 1
O31 0.111 0.659 0.363 1
O32 0.557 0.890 0.362 1
O33 0.334 0.451 0.368 1
O34 0.102 0.440 0.862 1
O35 0.352 0.884 0.870 1
O36 0.555 0.667 0.861 1
O37 0.028 0.832 0.414 1
O38 0.824 0.982 0.416 1
O39 0.157 0.192 0.416 1
O40 0.023 0.186 0.916 1
O41 0.169 0.983 0.914 1
O42 0.802 0.846 0.916 1
O43 0.001 0.192 0.587 1
O44 0.210 0.006 0.590 1
O45 0.797 0.810 0.587 1
O46 0.012 0.814 0.087 1
O47 0.790 0.997 0.088 1
O48 0.212 0.198 0.088 1
O49 0.700 0.177 0.746 1
O50 0.488 0.326 0.746 1
O51 0.822 0.526 0.749 1
O52 0.701 0.531 0.247 1
O53 0.820 0.307 0.248 1
O54 0.483 0.168 0.246 1
O55 0.671 0.545 0.920 1
O56 0.866 0.324 0.921 1
O57 0.485 0.138 0.924 1
O58 0.678 0.147 0.420 1